== Listing ==
The following is a DFT calculation (PBE) of La2Al3Ge4 after structural relaxation.

Cell and atoms, written as CIF:
```
data_La2Al3Ge4
_chemical_formula_sum 'La8 Al12 Ge16'
_cell_length_a 6.149
_cell_length_b 15.288
_cell_length_c 8.070
_cell_angle_alpha 90.00
_cell_angle_beta 90.00
_cell_angle_gamma 90.00
_space_group_name_H-M_alt 'C m c e'
_space_group_IT_number 64
_space_group_name_Hall '-C 2ac 2'
loop_
_atom_site_label
_atom_site_type_symbol
_atom_site_fract_x
_atom_site_fract_y
_atom_site_fract_z
La1 La 0.000 0.114 0.083
Al1 Al 0.000 0.000 0.500
Al2 Al 0.250 0.216 0.750
Ge1 Ge 0.000 0.187 0.448
Ge2 Ge 0.250 0.049 0.750
```

As for the calculated formation energy: -522 meV/atom.

***

The following is a DFT calculation (PBE) of Er3Co6Sn5 after structural relaxation.

Cell and atoms, written as CIF:
```
data_Er3Co6Sn5
_chemical_formula_sum 'Er6 Co12 Sn10'
_cell_length_a 4.313
_cell_length_b 9.599
_cell_length_c 12.291
_cell_angle_alpha 90.00
_cell_angle_beta 90.00
_cell_angle_gamma 90.00
_space_group_name_H-M_alt 'I m m m'
_space_group_IT_number 71
_space_group_name_Hall '-I 2 2'
loop_
_atom_site_label
_atom_site_type_symbol
_atom_site_fract_x
_atom_site_fract_y
_atom_site_fract_z
Er1 Er 0.000 0.000 0.000
Er2 Er 0.000 0.000 0.317
Co1 Co 0.000 0.196 0.500
Co2 Co 0.000 0.273 0.108
Sn1 Sn 0.000 0.342 0.323
Sn2 Sn 0.000 0.500 0.000
```

As for the calculated formation energy: -336 meV/atom.

***

The following is a DFT calculation (PBE) of MoS2 after structural relaxation.

Cell and atoms, written as CIF:
```
data_MoS2
_chemical_formula_sum 'Mo3 S6'
_cell_length_a 3.1903
_cell_length_b 3.1903
_cell_length_c 32.3185
_cell_angle_alpha 90.00
_cell_angle_beta 90.00
_cell_angle_gamma 120.00
_space_group_name_H-M_alt 'P -6 m 2'
_space_group_IT_number 187
_space_group_name_Hall 'P -6 2'
loop_
_atom_site_label
_atom_site_type_symbol
_atom_site_fract_x
_atom_site_fract_y
_atom_site_fract_z
Mo1 Mo 0.0000 0.0000 0.0000
Mo2 Mo 0.6667 0.3333 0.2302
S1 S 0.0000 0.0000 0.1818
S2 S 0.0000 0.0000 0.2786
S3 S 0.6667 0.3333 0.0484
```

As for the calculated formation energy: -1201 meV/atom.

***

The following is a DFT calculation (PBE) of CaSi3Ir after structural relaxation.

Cell and atoms, written as CIF:
```
data_CaSi3Ir
_chemical_formula_sum 'Ca2 Si6 Ir2'
_cell_length_a 4.207
_cell_length_b 4.207
_cell_length_c 9.956
_cell_angle_alpha 90.00
_cell_angle_beta 90.00
_cell_angle_gamma 90.00
_space_group_name_H-M_alt 'I 4 m m'
_space_group_IT_number 107
_space_group_name_Hall 'I 4 -2'
loop_
_atom_site_label
_atom_site_type_symbol
_atom_site_fract_x
_atom_site_fract_y
_atom_site_fract_z
Ca1 Ca 0.000 0.000 0.000
Si1 Si 0.000 0.000 0.409
Si2 Si 0.000 0.500 0.259
Ir1 Ir 0.000 0.000 0.647
```

As for the calculated formation energy: -634 meV/atom.

***

The following is a DFT calculation (PBE) of Sr2CuSbO6 after structural relaxation.

Cell and atoms, written as CIF:
```
data_Sr2CuSbO6
_chemical_formula_sum 'Sr8 Cu4 Sb4 O24'
_cell_length_a 8.004
_cell_length_b 8.004
_cell_length_c 8.004
_cell_angle_alpha 90.00
_cell_angle_beta 90.00
_cell_angle_gamma 90.00
_space_group_name_H-M_alt 'F m -3 m'
_space_group_IT_number 225
_space_group_name_Hall '-F 4 2 3'
loop_
_atom_site_label
_atom_site_type_symbol
_atom_site_fract_x
_atom_site_fract_y
_atom_site_fract_z
Sr1 Sr 0.250 0.250 0.250
Cu1 Cu 0.000 0.000 0.000
Sb1 Sb 0.000 0.000 0.500
O1 O 0.000 0.000 0.250
```

As for the calculated formation energy: -2206 meV/atom.

***

The following is a DFT calculation (PBE) of FeRe3N6 after structural relaxation.

Cell and atoms, written as CIF:
```
data_FeRe3N6
_chemical_formula_sum 'Fe2 Re6 N12'
_cell_length_a 4.801
_cell_length_b 5.291
_cell_length_c 8.647
_cell_angle_alpha 90.00
_cell_angle_beta 118.68
_cell_angle_gamma 90.00
_space_group_name_H-M_alt 'P 1 21/c 1'
_space_group_IT_number 14
loop_
_space_group_symop_operation_xyz
'x,y,z'
'-x,-y,-z'
'-x,y+1/2,-z+1/2'
'x,-y+1/2,z+1/2'
loop_
_atom_site_label
_atom_site_type_symbol
_atom_site_fract_x
_atom_site_fract_y
== Work order ==
What is needed: return all of the block above unchanged.
== Result ==
The following is a DFT calculation (PBE) of La2Al3Ge4 after structural relaxation.

Cell and atoms, written as CIF:
```
data_La2Al3Ge4
_chemical_formula_sum 'La8 Al12 Ge16'
_cell_length_a 6.149
_cell_length_b 15.288
_cell_length_c 8.070
_cell_angle_alpha 90.00
_cell_angle_beta 90.00
_cell_angle_gamma 90.00
_space_group_name_H-M_alt 'C m c e'
_space_group_IT_number 64
_space_group_name_Hall '-C 2ac 2'
loop_
_atom_site_label
_atom_site_type_symbol
_atom_site_fract_x
_atom_site_fract_y
_atom_site_fract_z
La1 La 0.000 0.114 0.083
Al1 Al 0.000 0.000 0.500
Al2 Al 0.250 0.216 0.750
Ge1 Ge 0.000 0.187 0.448
Ge2 Ge 0.250 0.049 0.750
```

As for the calculated formation energy: -522 meV/atom.

***

The following is a DFT calculation (PBE) of Er3Co6Sn5 after structural relaxation.

Cell and atoms, written as CIF:
```
data_Er3Co6Sn5
_chemical_formula_sum 'Er6 Co12 Sn10'
_cell_length_a 4.313
_cell_length_b 9.599
_cell_length_c 12.291
_cell_angle_alpha 90.00
_cell_angle_beta 90.00
_cell_angle_gamma 90.00
_space_group_name_H-M_alt 'I m m m'
_space_group_IT_number 71
_space_group_name_Hall '-I 2 2'
loop_
_atom_site_label
_atom_site_type_symbol
_atom_site_fract_x
_atom_site_fract_y
_atom_site_fract_z
Er1 Er 0.000 0.000 0.000
Er2 Er 0.000 0.000 0.317
Co1 Co 0.000 0.196 0.500
Co2 Co 0.000 0.273 0.108
Sn1 Sn 0.000 0.342 0.323
Sn2 Sn 0.000 0.500 0.000
```

As for the calculated formation energy: -336 meV/atom.

***

The following is a DFT calculation (PBE) of MoS2 after structural relaxation.

Cell and atoms, written as CIF:
```
data_MoS2
_chemical_formula_sum 'Mo3 S6'
_cell_length_a 3.1903
_cell_length_b 3.1903
_cell_length_c 32.3185
_cell_angle_alpha 90.00
_cell_angle_beta 90.00
_cell_angle_gamma 120.00
_space_group_name_H-M_alt 'P -6 m 2'
_space_group_IT_number 187
_space_group_name_Hall 'P -6 2'
loop_
_atom_site_label
_atom_site_type_symbol
_atom_site_fract_x
_atom_site_fract_y
_atom_site_fract_z
Mo1 Mo 0.0000 0.0000 0.0000
Mo2 Mo 0.6667 0.3333 0.2302
S1 S 0.0000 0.0000 0.1818
S2 S 0.0000 0.0000 0.2786
S3 S 0.6667 0.3333 0.0484
```

As for the calculated formation energy: -1201 meV/atom.

***

The following is a DFT calculation (PBE) of CaSi3Ir after structural relaxation.

Cell and atoms, written as CIF:
```
data_CaSi3Ir
_chemical_formula_sum 'Ca2 Si6 Ir2'
_cell_length_a 4.207
_cell_length_b 4.207
_cell_length_c 9.956
_cell_angle_alpha 90.00
_cell_angle_beta 90.00
_cell_angle_gamma 90.00
_space_group_name_H-M_alt 'I 4 m m'
_space_group_IT_number 107
_space_group_name_Hall 'I 4 -2'
loop_
_atom_site_label
_atom_site_type_symbol
_atom_site_fract_x
_atom_site_fract_y
_atom_site_fract_z
Ca1 Ca 0.000 0.000 0.000
Si1 Si 0.000 0.000 0.409
Si2 Si 0.000 0.500 0.259
Ir1 Ir 0.000 0.000 0.647
```

As for the calculated formation energy: -634 meV/atom.

***

The following is a DFT calculation (PBE) of Sr2CuSbO6 after structural relaxation.

Cell and atoms, written as CIF:
```
data_Sr2CuSbO6
_chemical_formula_sum 'Sr8 Cu4 Sb4 O24'
_cell_length_a 8.004
_cell_length_b 8.004
_cell_length_c 8.004
_cell_angle_alpha 90.00
_cell_angle_beta 90.00
_cell_angle_gamma 90.00
_space_group_name_H-M_alt 'F m -3 m'
_space_group_IT_number 225
_space_group_name_Hall '-F 4 2 3'
loop_
_atom_site_label
_atom_site_type_symbol
_atom_site_fract_x
_atom_site_fract_y
_atom_site_fract_z
Sr1 Sr 0.250 0.250 0.250
Cu1 Cu 0.000 0.000 0.000
Sb1 Sb 0.000 0.000 0.500
O1 O 0.000 0.000 0.250
```

As for the calculated formation energy: -2206 meV/atom.

***

The following is a DFT calculation (PBE) of FeRe3N6 after structural relaxation.

Cell and atoms, written as CIF:
```
data_FeRe3N6
_chemical_formula_sum 'Fe2 Re6 N12'
_cell_length_a 4.801
_cell_length_b 5.291
_cell_length_c 8.647
_cell_angle_alpha 90.00
_cell_angle_beta 118.68
_cell_angle_gamma 90.00
_space_group_name_H-M_alt 'P 1 21/c 1'
_space_group_IT_number 14
loop_
_space_group_symop_operation_xyz
'x,y,z'
'-x,-y,-z'
'-x,y+1/2,-z+1/2'
'x,-y+1/2,z+1/2'
loop_
_atom_site_label
_atom_site_type_symbol
_atom_site_fract_x
_atom_site_fract_y